# Assignment
Please retype all of the entries further below exactly.

# File
~~~
1.
The following is a PBE calculation of a relaxed SrNiW crystal, from the Alexandria database.

## Properties
DOS at the Fermi energy in states/eV/f.u.: 3.00

Geometry as CIF:
```
data_SrNiW
_chemical_formula_sum 'Sr2 Ni2 W2'
_cell_length_a 3.135
_cell_length_b 3.135
_cell_length_c 12.373
_cell_angle_alpha 90.00
_cell_angle_beta 90.00
_cell_angle_gamma 90.00
_space_group_name_H-M_alt 'I 4 m m'
_space_group_IT_number 107
_space_group_name_Hall 'I 4 -2'
loop_
_atom_site_label
_atom_site_type_symbol
_atom_site_fract_x
_atom_site_fract_y
_atom_site_fract_z
Sr1 Sr 0.000 0.000 0.000
Ni1 Ni 0.000 0.000 0.698
W1 W 0.000 0.000 0.290
```

***

2.
The following is a PBE calculation of a relaxed SrNiW crystal, from the Alexandria database.

## Properties
DOS at the Fermi energy in states/eV/f.u.: 3.63

Geometry as CIF:
```
data_SrNiW
_chemical_formula_sum 'Sr4 Ni4 W4'
_cell_length_a 11.512
_cell_length_b 4.266
_cell_length_c 5.239
_cell_angle_alpha 90.00
_cell_angle_beta 92.61
_cell_angle_gamma 90.00
_space_group_name_H-M_alt 'C 1 m 1'
_space_group_IT_number 8
_space_group_name_Hall 'C -2y'
loop_
_atom_site_label
_atom_site_type_symbol
_atom_site_fract_x
_atom_site_fract_y
_atom_site_fract_z
Sr1 Sr 0.000 0.000 0.000
Sr2 Sr 0.054 0.500 0.498
Ni1 Ni 0.278 0.000 0.248
Ni2 Ni 0.315 0.500 0.504
W1 W 0.235 0.500 0.020
W2 W 0.277 0.000 0.735
```

***

3.
The following is a PBE calculation of a relaxed SrNiW crystal, from the Alexandria database.

## Properties
DOS at the Fermi energy in states/eV/f.u.: 2.56

Geometry as CIF:
```
data_SrNiW
_chemical_formula_sum 'Sr1 Ni1 W1'
_cell_length_a 3.1910
_cell_length_b 3.1910
_cell_length_c 6.9183
_cell_angle_alpha 90.00
_cell_angle_beta 90.00
_cell_angle_gamma 120.00
_space_group_name_H-M_alt 'P 3 m 1'
_space_group_IT_number 156
_space_group_name_Hall 'P 3 -2"'
loop_
_atom_site_label
_atom_site_type_symbol
_atom_site_fract_x
_atom_site_fract_y
_atom_site_fract_z
Sr1 Sr 0.0000 0.0000 0.0000
Ni1 Ni 0.3333 0.6667 0.6290
W1 W 0.6667 0.3333 0.3974
```

***

4.
The following is a PBE calculation of a relaxed SrNiW crystal, from the Alexandria database.

## Properties
DOS at the Fermi energy in states/eV/f.u.: 2.91

Geometry as CIF:
```
data_SrNiW
_chemical_formula_sum 'Sr2 Ni2 W2'
_cell_length_a 5.4999
_cell_length_b 5.4999
_cell_length_c 8.9644
_cell_angle_alpha 90.00
_cell_angle_beta 90.00
_cell_angle_gamma 120.00
_space_group_name_H-M_alt 'P 63/m m c'
_space_group_IT_number 194
_space_group_name_Hall '-P 6c 2c'
loop_
_atom_site_label
_atom_site_type_symbol
_atom_site_fract_x
_atom_site_fract_y
_atom_site_fract_z
Sr1 Sr 0.3333 0.6667 0.2500
Ni1 Ni 0.0000 0.0000 0.0000
W1 W 0.0000 0.0000 0.2500
```

***

Most stable structure, least stable structure: 2, 4.

***

1.
The following is a PBE calculation of a relaxed SrNi2W crystal, from the Alexandria database.

## Properties
DOS at the Fermi energy in states/eV/f.u.: 6.30

Geometry as CIF:
```
data_SrNi2W
_chemical_formula_sum 'Sr4 Ni8 W4'
_cell_length_a 6.511
_cell_length_b 6.511
_cell_length_c 6.511
_cell_angle_alpha 90.00
_cell_angle_beta 90.00
_cell_angle_gamma 90.00
_space_group_name_H-M_alt 'F m -3 m'
_space_group_IT_number 225
_space_group_name_Hall '-F 4 2 3'
loop_
_atom_site_label
_atom_site_type_symbol
_atom_site_fract_x
_atom_site_fract_y
_atom_site_fract_z
Sr1 Sr 0.000 0.000 0.000
Ni1 Ni 0.250 0.250 0.250
W1 W 0.000 0.000 0.500
```

***

2.
The following is a PBE calculation of a relaxed SrNi2W crystal, from the Alexandria database.

## Properties
DOS at the Fermi energy in states/eV/f.u.: 5.33

Geometry as CIF:
```
data_SrNi2W
_chemical_formula_sum 'Sr2 Ni4 W2'
_cell_length_a 4.183
_cell_length_b 5.260
_cell_length_c 6.802
_cell_angle_alpha 90.00
_cell_angle_beta 90.00
_cell_angle_gamma 90.00
_space_group_name_H-M_alt 'I m m m'
_space_group_IT_number 71
_space_group_name_Hall '-I 2 2'
loop_
_atom_site_label
_atom_site_type_symbol
_atom_site_fract_x
_atom_site_fract_y
_atom_site_fract_z
Sr1 Sr 0.000 0.000 0.000
Ni1 Ni 0.000 0.500 0.194
~~~

# Completed
1.
The following is a PBE calculation of a relaxed SrNiW crystal, from the Alexandria database.

## Properties
DOS at the Fermi energy in states/eV/f.u.: 3.00

Geometry as CIF:
```
data_SrNiW
_chemical_formula_sum 'Sr2 Ni2 W2'
_cell_length_a 3.135
_cell_length_b 3.135
_cell_length_c 12.373
_cell_angle_alpha 90.00
_cell_angle_beta 90.00
_cell_angle_gamma 90.00
_space_group_name_H-M_alt 'I 4 m m'
_space_group_IT_number 107
_space_group_name_Hall 'I 4 -2'
loop_
_atom_site_label
_atom_site_type_symbol
_atom_site_fract_x
_atom_site_fract_y
_atom_site_fract_z
Sr1 Sr 0.000 0.000 0.000
Ni1 Ni 0.000 0.000 0.698
W1 W 0.000 0.000 0.290
```

***

2.
The following is a PBE calculation of a relaxed SrNiW crystal, from the Alexandria database.

## Properties
DOS at the Fermi energy in states/eV/f.u.: 3.63

Geometry as CIF:
```
data_SrNiW
_chemical_formula_sum 'Sr4 Ni4 W4'
_cell_length_a 11.512
_cell_length_b 4.266
_cell_length_c 5.239
_cell_angle_alpha 90.00
_cell_angle_beta 92.61
_cell_angle_gamma 90.00
_space_group_name_H-M_alt 'C 1 m 1'
_space_group_IT_number 8
_space_group_name_Hall 'C -2y'
loop_
_atom_site_label
_atom_site_type_symbol
_atom_site_fract_x
_atom_site_fract_y
_atom_site_fract_z
Sr1 Sr 0.000 0.000 0.000
Sr2 Sr 0.054 0.500 0.498
Ni1 Ni 0.278 0.000 0.248
Ni2 Ni 0.315 0.500 0.504
W1 W 0.235 0.500 0.020
W2 W 0.277 0.000 0.735
```

***

3.
The following is a PBE calculation of a relaxed SrNiW crystal, from the Alexandria database.

## Properties
DOS at the Fermi energy in states/eV/f.u.: 2.56

Geometry as CIF:
```
data_SrNiW
_chemical_formula_sum 'Sr1 Ni1 W1'
_cell_length_a 3.1910
_cell_length_b 3.1910
_cell_length_c 6.9183
_cell_angle_alpha 90.00
_cell_angle_beta 90.00
_cell_angle_gamma 120.00
_space_group_name_H-M_alt 'P 3 m 1'
_space_group_IT_number 156
_space_group_name_Hall 'P 3 -2"'
loop_
_atom_site_label
_atom_site_type_symbol
_atom_site_fract_x
_atom_site_fract_y
_atom_site_fract_z
Sr1 Sr 0.0000 0.0000 0.0000
Ni1 Ni 0.3333 0.6667 0.6290
W1 W 0.6667 0.3333 0.3974
```

***

4.
The following is a PBE calculation of a relaxed SrNiW crystal, from the Alexandria database.

## Properties
DOS at the Fermi energy in states/eV/f.u.: 2.91

Geometry as CIF:
```
data_SrNiW
_chemical_formula_sum 'Sr2 Ni2 W2'
_cell_length_a 5.4999
_cell_length_b 5.4999
_cell_length_c 8.9644
_cell_angle_alpha 90.00
_cell_angle_beta 90.00
_cell_angle_gamma 120.00
_space_group_name_H-M_alt 'P 63/m m c'
_space_group_IT_number 194
_space_group_name_Hall '-P 6c 2c'
loop_
_atom_site_label
_atom_site_type_symbol
_atom_site_fract_x
_atom_site_fract_y
_atom_site_fract_z
Sr1 Sr 0.3333 0.6667 0.2500
Ni1 Ni 0.0000 0.0000 0.0000
W1 W 0.0000 0.0000 0.2500
```

***

Most stable structure, least stable structure: 2, 4.

***

1.
The following is a PBE calculation of a relaxed SrNi2W crystal, from the Alexandria database.

## Properties
DOS at the Fermi energy in states/eV/f.u.: 6.30

Geometry as CIF:
```
data_SrNi2W
_chemical_formula_sum 'Sr4 Ni8 W4'
_cell_length_a 6.511
_cell_length_b 6.511
_cell_length_c 6.511
_cell_angle_alpha 90.00
_cell_angle_beta 90.00
_cell_angle_gamma 90.00
_space_group_name_H-M_alt 'F m -3 m'
_space_group_IT_number 225
_space_group_name_Hall '-F 4 2 3'
loop_
_atom_site_label
_atom_site_type_symbol
_atom_site_fract_x
_atom_site_fract_y
_atom_site_fract_z
Sr1 Sr 0.000 0.000 0.000
Ni1 Ni 0.250 0.250 0.250
W1 W 0.000 0.000 0.500
```

***

2.
The following is a PBE calculation of a relaxed SrNi2W crystal, from the Alexandria database.

## Properties
DOS at the Fermi energy in states/eV/f.u.: 5.33

Geometry as CIF:
```
data_SrNi2W
_chemical_formula_sum 'Sr2 Ni4 W2'
_cell_length_a 4.183
_cell_length_b 5.260
_cell_length_c 6.802
_cell_angle_alpha 90.00
_cell_angle_beta 90.00
_cell_angle_gamma 90.00
_space_group_name_H-M_alt 'I m m m'
_space_group_IT_number 71
_space_group_name_Hall '-I 2 2'
loop_
_atom_site_label
_atom_site_type_symbol
_atom_site_fract_x
_atom_site_fract_y
_atom_site_fract_z
Sr1 Sr 0.000 0.000 0.000
Ni1 Ni 0.000 0.500 0.194